The rally cry of being your sister’s and brother’s keeper is an old saw in the workplace safety world. We need to have each other’s back. Need to be interdependent, not independent. Go beyond the call of duty and actively care for one another. This is how you build trust, teamwork, engagement, empathy, values, culture and superior safety performance on the job.

Misplaced crystal structures.
1.
Theoretical powder XRD pattern
Compound: Tb3Pd13
Radiation: Cu Ka
Structure: DFT lattice parameters and positions (PBE)

Structural model:
```
data_Tb3Pd13
_cell_length_a 8.455
_cell_length_b 7.851
_cell_length_c 8.342
_cell_angle_alpha 90.00
_cell_angle_beta 90.00
_cell_angle_gamma 90.00
_space_group_name_H-M_alt 'A m m 2'
_space_group_IT_number 38
_space_group_name_Hall 'A 2 -2'
loop_
_atom_site_label
_atom_site_type_symbol
_atom_site_fract_x
_atom_site_fract_y
_atom_site_fract_z
Tb1 Tb 0.000 0.000 0.000
Tb2 Tb 0.271 0.000 0.310
Pd1 Pd 0.000 0.000 0.547
Pd2 Pd 0.000 0.233 0.276
Pd3 Pd 0.249 0.000 0.787
Pd4 Pd 0.255 0.245 0.048
Pd5 Pd 0.500 0.000 0.044
Pd6 Pd 0.500 0.000 0.551
Pd7 Pd 0.500 0.234 0.796
```

Most intense lines, 15° ≤ 2θ ≤ 90°, sorted by position:
d (Å)  2theta  I (rel.)  h k l
2.368  38.0  100  2 2 2
2.114  42.8  18  4 0 0
2.085  43.4  16  0 0 4
1.963  46.3  15  0 4 0
1.485  62.6  10  4 0 4
1.438  64.8  10  4 4 0
1.264  75.2  12  6 2 2
1.252  76.0  9  2 2 6
1.197  80.2  10  2 6 2
1.184  81.3  9  4 4 4

=====

2.
Theoretical powder XRD pattern
Compound: Nd4Sn8Ru
Radiation: Cu Ka
Structure: DFT lattice parameters and positions (PBE)

Structural model:
```
data_Nd4Sn8Ru
_cell_length_a 4.506
_cell_length_b 4.594
_cell_length_c 17.001
_cell_angle_alpha 90.00
_cell_angle_beta 90.00
_cell_angle_gamma 90.00
_space_group_name_H-M_alt 'P m m 2'
_space_group_IT_number 25
_space_group_name_Hall 'P 2 -2'
loop_
_atom_site_label
_atom_site_type_symbol
_atom_site_fract_x
_atom_site_fract_y
_atom_site_fract_z
Nd1 Nd 0.000 0.000 0.000
Nd2 Nd 0.000 0.500 0.487
Nd3 Nd 0.500 0.000 0.788
Nd4 Nd 0.500 0.500 0.293
Sn1 Sn 0.000 0.000 0.328
Sn2 Sn 0.000 0.000 0.626
Sn3 Sn 0.000 0.500 0.145
Sn4 Sn 0.000 0.500 0.853
Sn5 Sn 0.500 0.000 0.149
Sn6 Sn 0.500 0.000 0.452
Sn7 Sn 0.500 0.500 0.625
Sn8 Sn 0.500 0.500 0.969
Ru1 Ru 0.000 0.500 0.701
```

Most intense lines, 15° ≤ 2θ ≤ 90°, sorted by position:
d (Å)  2theta  I (rel.)  h k l
2.833  31.6  16  0 0 6
2.797  32.0  100  1 1 3
2.399  37.5  10  1 0 6
2.297  39.2  20  0 2 0
2.253  40.0  19  2 0 0
1.784  51.2  8  0 2 6
1.763  51.8  8  2 0 6
1.608  57.3  14  2 2 0
1.405  66.6  13  1 3 3
1.384  67.7  12  3 1 3

=====

3.
Theoretical powder XRD pattern
Compound: Nd3YSn12
Radiation: Cu Ka
Structure: DFT lattice parameters and positions (PBE)

Structural model:
```
data_Nd3YSn12
_cell_length_a 4.781
_cell_length_b 4.781
_cell_length_c 18.871
_cell_angle_alpha 90.00
_cell_angle_beta 90.00
_cell_angle_gamma 90.00
_space_group_name_H-M_alt 'P 4/m m m'
_space_group_IT_number 123
_space_group_name_Hall '-P 4 2'
loop_
_atom_site_label
_atom_site_type_symbol
_atom_site_fract_x
_atom_site_fract_y
_atom_site_fract_z
Nd1 Nd 0.000 0.000 0.000
Nd2 Nd 0.000 0.000 0.251
Y1 Y 0.000 0.000 0.500
Sn1 Sn 0.000 0.500 0.126
Sn2 Sn 0.000 0.500 0.378
Sn3 Sn 0.500 0.500 0.000
Sn4 Sn 0.500 0.500 0.252
Sn5 Sn 0.500 0.500 0.500
```

Most intense lines, 15° ≤ 2θ ≤ 90°, sorted by position:
d (Å)  2theta  I (rel.)  h k l

The changing face of the U.S. workforce will challenge and test these long-held job safety beliefs. You can’t ignore 53.5 million workers, and that’s the number of so-called millennials (age 18 to 35) that were in the workforce in the first quarter of 2015. With the baby boomers (age 51 to 70) retiring, millennials now make up the largest percentage of the American workforce – 34 percent compared to the boomers’ 29 percent.

Can culture and churn co-exist?

And there are characteristics ascribed to millennials through research that make you wonder how accepting many will be of long-held safety attitudes and behaviors. A study, “The 2015 Millennial Majority Workforce,” finds that 58 percent of millennials expect to stay in their jobs fewer than three years. How do you build and sustain a work culture with that kind of churn?

The Pew Research Center released a report this fall showing only 24 percent of millennials consider themselves responsible. So how does that translate into accountability for safety? More than half of millennials surveyed, 59 percent, describe their generation as “self-absorbed” and 49 percent say they are “wasteful.” Only 35 percent of millennials say they are “hard working.”  Not exactly encouraging stats for workplace safety volunteer work, signing up for safety committees, and tackling activities ranging from observation and feedback sessions to incident and near-miss reporting and serving on incident investigation and auditing teams.

The Pew study also found only 29 percent of millennials consider themselves compassionate people. That doesn’t bode well for actively caring for co-workers and taking on safety coaching roles.

Societal changes

Why do millennials have this apparent low self-esteem? The reasons are trends in our society that affect the attitudes and behaviors of more than just the millennials. Globalization and the outsourcing and off-shoring of millions of jobs has increased job insecurity, ruin the loyalty bonds between many employers and employees, and it has put a comfortable middle class lifestyle beyond the reach of many workers age 21 to 40 or 45.

Without anything close to the idea of secure lifetime employment or working for one company for 10, 20 or more years, this is the age of “You, Inc.” Employees in the early years of their working lives are often told that no one has your back, nothing is guaranteed, so you are in effect your own one-person business. You need a personalized business plan, and if that means jumping jobs every three years or so, well, that’s not the black mark it once was.

“You, Inc.” means many more workers will carve out careers as independent contractors and freelancers. In part because they must – many companies in 2105 are loathe to add to full-time payrolls and dole out health benefits. One survey finds 79 percent of millennials say they would “consider quitting their regular job and working for themselves.”

The new normal

Keeping workers safe on the job is up against daunting challenges. As a recent New York Times essay said, the people who can compete and succeed in today’s highly competitive employment environment are an ever-narrower slice of American society. The lifestyle model for past generations – in which one partner does all the work of earning an income and the other partner does all the work of turning that income into the care of children and the sick, disabled and elderly – doesn’t stand up to modern economic realities.

So you have public health experts lamenting workforce anxiety attacks, depression, exhaustion, distractions, work-life imbalances and widespread stress. (According to one study, a quarter of young people are struggling with mental illness.) Safety pros will be taxed by these trends for years to come, and workplace regulators such as OSHA will be forced to address mental health and stress disorders in ways it never has before, resembling how the European Union and countries such as Canada and Sweden have worked to de-stigmatize these modern maladies.

The rest of the story

There are several more hopeful caveats to this scenario. One, American has long been built on small businesses, millions of them. And in small enterprises, family-owned businesses, it’s always easier for workers and managers to be on a first-name basis with each other, to have friendships at work, to still take families to company picnics or have coworkers over for dinner. When work bonds are tighter and more secure, trust, empathy, caring and other bedrocks of safety cultures exist at higher levels.

And speaking of cultures, millennials place a strong, personal value on work environments that are values-driven. In one survey, 62 percent of millennials say they want to work for a company that makes a positive impact; half prefer purposeful work to a high salary, and 53 percent would work harder if they were making a difference to others. Millennials define themselves more by their interests and passions than past generations.

Research shows 79 percent of millennials define success as “doing what you are passionate about.” Millennials want to make a difference. Their passions can run from the environment, social justice, poverty and the planet. Workplace safety has always been an emotional, passionate issue (which is why many executives prefer to ignore it or put it in a “compliance” box). Safety pros have the opportunity to tap into the passionate, purpose-driven nature of millennials.

There are always solutions to perplexing puzzles. Today’s work world is, among many other traits, perplexing and confounding. And safety pros are savvy and resourceful enough to flex with the times, learn from the times, and find success amid the changes and new realities.